== Given ==
- - -
# 1
98
Properties=species:S:1:pos:R:3:forces:R:3:lowdin_charge:R:1 method="wB97M-V/def2-TZVPD" homo_energy_ev=-15.49 charge=+3 e_above_lowest_ev=0.489
W 0.0959 0.2232 0.1008 -0.6 0.4 -0.4 0.874
F 7.2891 0.6830 2.4705 0.0 0.0 0.0 0.200
C 5.9912 0.5115 2.4137 0.2 0.1 0.0 -0.113
C 5.3173 -0.0629 3.4747 0.2 -0.1 0.2 -0.116
F 5.9770 -0.4435 4.5469 0.0 0.0 0.0 0.188
C 3.9465 -0.2228 3.4106 -0.2 0.0 0.0 -0.206
F 3.3370 -0.7266 4.4777 0.0 0.0 0.0 0.136
C 3.2131 0.1394 2.2837 0.0 -0.1 -0.2 -0.300
P 1.4075 -0.0397 2.3156 0.1 -0.3 0.9 0.965
C 0.9543 1.1268 3.6282 -0.2 0.1 -0.2 -0.384
C 0.6609 0.7097 4.9224 0.0 0.0 0.0 -0.069
C 0.3156 1.6565 5.8797 0.0 0.0 0.0 -0.033
C 0.2743 3.0036 5.5529 0.0 0.0 0.0 -0.034
C 0.5739 3.4185 4.2591 0.0 0.0 0.0 -0.049
C 0.9094 2.4832 3.2948 0.1 0.0 0.1 -0.123
C 1.0852 -1.7159 2.9339 -0.2 0.0 -0.2 -0.393
C -0.1857 -1.9925 3.4416 0.0 -0.1 0.0 -0.121
C -0.4774 -3.2573 3.9316 0.0 0.1 0.0 -0.042
C 0.4972 -4.2491 3.9122 0.0 0.0 0.0 -0.042
C 1.7519 -3.9824 3.3813 0.0 0.0 0.0 -0.046
C 2.0456 -2.7211 2.8795 0.0 0.0 0.0 -0.100
C 3.9205 0.7282 1.2404 -0.1 -0.1 0.0 -0.533
Br 3.0447 1.3530 -0.3057 -0.2 0.2 -0.1 0.961
C 5.2829 0.9210 1.2960 0.0 0.1 -0.2 -0.246
F 5.9251 1.4990 0.2933 0.0 0.0 0.0 0.120
H 0.7114 -0.3346 5.1969 0.0 0.0 0.0 0.109
H 0.0811 1.3347 6.8866 0.0 0.0 0.0 0.124
H 0.0189 3.7353 6.3091 0.0 0.0 0.0 0.124
H 0.5387 4.4717 4.0053 0.0 -0.1 0.0 0.112
H 1.1426 2.8061 2.2863 0.0 0.0 0.0 0.072
H -0.9345 -1.2111 3.4857 0.0 0.0 0.0 0.096
H -1.4557 -3.4613 4.3491 0.0 0.0 0.0 0.121
H 0.2809 -5.2279 4.3239 0.0 0.1 0.0 0.124
H 2.5134 -4.7527 3.3724 0.0 0.0 0.0 0.124
H 3.0273 -2.5236 2.4680 0.0 0.0 0.0 0.111
S -1.5866 1.0685 1.5666 0.6 -0.2 -0.8 0.864
C -2.8251 -0.0786 1.7970 0.0 -0.1 0.1 -0.633
C -3.8924 0.1854 2.6696 -0.1 0.0 0.1 -0.068
C -4.9089 -0.7349 2.7669 0.0 0.0 -0.1 -0.015
C -4.8910 -1.9157 1.9979 0.0 0.0 0.0 -0.016
C -3.8382 -2.1957 1.1576 0.0 0.0 0.1 -0.072
C -2.7890 -1.2699 1.0653 -0.2 0.0 0.0 -0.618
S -1.3947 -1.5931 0.1364 0.4 0.6 0.0 0.775
H -3.9065 1.0962 3.2559 0.0 0.0 0.0 0.126
H -5.7352 -0.5468 3.4398 0.0 0.0 0.0 0.131
H -5.7162 -2.6138 2.0678 0.0 0.0 0.0 0.130
H -3.8161 -3.1101 0.5763 0.0 0.1 0.0 0.120
C -1.2894 5.8658 0.7613 -0.2 0.0 0.1 -0.163
Si 0.2404 5.3591 -0.1431 0.0 0.1 0.1 0.444
C 1.8042 5.6587 0.8031 0.1 -0.1 0.2 -0.159
C 0.3293 5.9921 -1.8731 0.0 -0.1 -0.2 -0.165
C 0.1272 3.4649 -0.2196 -0.1 -0.4 0.0 -0.082
C 0.0556 2.2344 -0.1471 0.1 -0.2 0.5 -0.429
H -1.2232 6.9179 1.0527 0.0 -0.1 0.0 0.054
H -1.4393 5.2725 1.6672 0.0 0.1 0.0 0.033
H -2.1728 5.7510 0.1284 0.0 0.0 0.1 0.047
H 1.9604 6.7355 0.9170 0.0 -0.1 0.0 0.057
H 2.6697 5.2475 0.2771 0.0 0.1 0.0 0.042
H 1.7700 5.2232 1.8064 0.0 0.1 -0.1 0.023
H 0.3956 7.0837 -1.8447 0.0 -0.1 0.0 0.056
H -0.5646 5.7259 -2.4419 0.1 0.0 0.0 0.044
H 1.2075 5.6125 -2.3996 0.0 0.1 0.0 0.043
S -0.9861 0.9854 -6.4605 0.1 -0.1 0.0 1.121
C -0.7993 0.6275 -4.7834 0.1 0.1 0.1 -0.480
C 0.4887 0.7833 -4.2310 -0.1 0.1 -0.1 -0.052
C 0.6885 0.5747 -2.8986 -0.1 0.0 0.0 -0.155
N -0.3105 0.2522 -2.0366 0.2 -0.2 -0.2 -0.184
C -1.5460 0.1028 -2.5682 0.1 0.0 0.1 -0.116
C -1.8187 0.2477 -3.9009 -0.1 0.0 -0.1 -0.019
C -2.4249 0.0505 -6.9372 0.1 0.1 0.0 -0.516
C -3.7140 0.4319 -6.6032 -0.1 0.1 -0.1 -0.088
C -4.7601 -0.3256 -7.1156 0.1 -0.2 -0.1 -0.110
N -4.5777 -1.3797 -7.9111 0.2 0.0 0.1 0.091
C -3.3302 -1.7223 -8.2339 -0.2 0.2 0.1 -0.105
C -2.2115 -1.0378 -7.7689 -0.1 0.0 0.0 -0.073
H 1.3252 1.0575 -4.8623 0.0 0.0 0.0 0.126
H 1.6823 0.6581 -2.4890 0.0 0.0 0.0 0.041
H -2.3445 -0.1206 -1.8790 0.0 -0.1 0.0 0.096
H -2.8294 0.0852 -4.2489 0.0 0.0 0.0 0.111
H -3.9167 1.3100 -6.0014 0.0 0.0 -0.1 0.117
H -5.7886 -0.0604 -6.8967 0.0 0.0 0.0 0.120
H -3.2180 -2.5703 -8.9002 0.0 0.0 0.0 0.121
H -1.2137 -1.3310 -8.0684 0.0 0.0 0.0 0.109
C -0.0595 -4.3631 0.1281 0.2 -0.2 0.1 -0.057
N 0.6643 -4.1315 -1.1127 -0.2 -0.1 0.1 -0.107
C 0.6447 -5.1393 -2.1953 -0.1 0.1 0.0 -0.054
C 1.6253 -4.5610 -3.2284 0.1 0.1 0.1 -0.071
N 1.8298 -3.1970 -2.7060 0.0 -0.1 -0.2 0.057
- - -

== Wanted ==
What is needed: transcribe everything above without additions.

== Written answer ==
# 1
98
Properties=species:S:1:pos:R:3:forces:R:3:lowdin_charge:R:1 method="wB97M-V/def2-TZVPD" homo_energy_ev=-15.49 charge=+3 e_above_lowest_ev=0.489
W 0.0959 0.2232 0.1008 -0.6 0.4 -0.4 0.874
F 7.2891 0.6830 2.4705 0.0 0.0 0.0 0.200
C 5.9912 0.5115 2.4137 0.2 0.1 0.0 -0.113
C 5.3173 -0.0629 3.4747 0.2 -0.1 0.2 -0.116
F 5.9770 -0.4435 4.5469 0.0 0.0 0.0 0.188
C 3.9465 -0.2228 3.4106 -0.2 0.0 0.0 -0.206
F 3.3370 -0.7266 4.4777 0.0 0.0 0.0 0.136
C 3.2131 0.1394 2.2837 0.0 -0.1 -0.2 -0.300
P 1.4075 -0.0397 2.3156 0.1 -0.3 0.9 0.965
C 0.9543 1.1268 3.6282 -0.2 0.1 -0.2 -0.384
C 0.6609 0.7097 4.9224 0.0 0.0 0.0 -0.069
C 0.3156 1.6565 5.8797 0.0 0.0 0.0 -0.033
C 0.2743 3.0036 5.5529 0.0 0.0 0.0 -0.034
C 0.5739 3.4185 4.2591 0.0 0.0 0.0 -0.049
C 0.9094 2.4832 3.2948 0.1 0.0 0.1 -0.123
C 1.0852 -1.7159 2.9339 -0.2 0.0 -0.2 -0.393
C -0.1857 -1.9925 3.4416 0.0 -0.1 0.0 -0.121
C -0.4774 -3.2573 3.9316 0.0 0.1 0.0 -0.042
C 0.4972 -4.2491 3.9122 0.0 0.0 0.0 -0.042
C 1.7519 -3.9824 3.3813 0.0 0.0 0.0 -0.046
C 2.0456 -2.7211 2.8795 0.0 0.0 0.0 -0.100
C 3.9205 0.7282 1.2404 -0.1 -0.1 0.0 -0.533
Br 3.0447 1.3530 -0.3057 -0.2 0.2 -0.1 0.961
C 5.2829 0.9210 1.2960 0.0 0.1 -0.2 -0.246
F 5.9251 1.4990 0.2933 0.0 0.0 0.0 0.120
H 0.7114 -0.3346 5.1969 0.0 0.0 0.0 0.109
H 0.0811 1.3347 6.8866 0.0 0.0 0.0 0.124
H 0.0189 3.7353 6.3091 0.0 0.0 0.0 0.124
H 0.5387 4.4717 4.0053 0.0 -0.1 0.0 0.112
H 1.1426 2.8061 2.2863 0.0 0.0 0.0 0.072
H -0.9345 -1.2111 3.4857 0.0 0.0 0.0 0.096
H -1.4557 -3.4613 4.3491 0.0 0.0 0.0 0.121
H 0.2809 -5.2279 4.3239 0.0 0.1 0.0 0.124
H 2.5134 -4.7527 3.3724 0.0 0.0 0.0 0.124
H 3.0273 -2.5236 2.4680 0.0 0.0 0.0 0.111
S -1.5866 1.0685 1.5666 0.6 -0.2 -0.8 0.864
C -2.8251 -0.0786 1.7970 0.0 -0.1 0.1 -0.633
C -3.8924 0.1854 2.6696 -0.1 0.0 0.1 -0.068
C -4.9089 -0.7349 2.7669 0.0 0.0 -0.1 -0.015
C -4.8910 -1.9157 1.9979 0.0 0.0 0.0 -0.016
C -3.8382 -2.1957 1.1576 0.0 0.0 0.1 -0.072
C -2.7890 -1.2699 1.0653 -0.2 0.0 0.0 -0.618
S -1.3947 -1.5931 0.1364 0.4 0.6 0.0 0.775
H -3.9065 1.0962 3.2559 0.0 0.0 0.0 0.126
H -5.7352 -0.5468 3.4398 0.0 0.0 0.0 0.131
H -5.7162 -2.6138 2.0678 0.0 0.0 0.0 0.130
H -3.8161 -3.1101 0.5763 0.0 0.1 0.0 0.120
C -1.2894 5.8658 0.7613 -0.2 0.0 0.1 -0.163
Si 0.2404 5.3591 -0.1431 0.0 0.1 0.1 0.444
C 1.8042 5.6587 0.8031 0.1 -0.1 0.2 -0.159
C 0.3293 5.9921 -1.8731 0.0 -0.1 -0.2 -0.165
C 0.1272 3.4649 -0.2196 -0.1 -0.4 0.0 -0.082
C 0.0556 2.2344 -0.1471 0.1 -0.2 0.5 -0.429
H -1.2232 6.9179 1.0527 0.0 -0.1 0.0 0.054
H -1.4393 5.2725 1.6672 0.0 0.1 0.0 0.033
H -2.1728 5.7510 0.1284 0.0 0.0 0.1 0.047
H 1.9604 6.7355 0.9170 0.0 -0.1 0.0 0.057
H 2.6697 5.2475 0.2771 0.0 0.1 0.0 0.042
H 1.7700 5.2232 1.8064 0.0 0.1 -0.1 0.023
H 0.3956 7.0837 -1.8447 0.0 -0.1 0.0 0.056
H -0.5646 5.7259 -2.4419 0.1 0.0 0.0 0.044
H 1.2075 5.6125 -2.3996 0.0 0.1 0.0 0.043
S -0.9861 0.9854 -6.4605 0.1 -0.1 0.0 1.121
C -0.7993 0.6275 -4.7834 0.1 0.1 0.1 -0.480
C 0.4887 0.7833 -4.2310 -0.1 0.1 -0.1 -0.052
C 0.6885 0.5747 -2.8986 -0.1 0.0 0.0 -0.155
N -0.3105 0.2522 -2.0366 0.2 -0.2 -0.2 -0.184
C -1.5460 0.1028 -2.5682 0.1 0.0 0.1 -0.116
C -1.8187 0.2477 -3.9009 -0.1 0.0 -0.1 -0.019
C -2.4249 0.0505 -6.9372 0.1 0.1 0.0 -0.516
C -3.7140 0.4319 -6.6032 -0.1 0.1 -0.1 -0.088
C -4.7601 -0.3256 -7.1156 0.1 -0.2 -0.1 -0.110
N -4.5777 -1.3797 -7.9111 0.2 0.0 0.1 0.091
C -3.3302 -1.7223 -8.2339 -0.2 0.2 0.1 -0.105
C -2.2115 -1.0378 -7.7689 -0.1 0.0 0.0 -0.073
H 1.3252 1.0575 -4.8623 0.0 0.0 0.0 0.126
H 1.6823 0.6581 -2.4890 0.0 0.0 0.0 0.041
H -2.3445 -0.1206 -1.8790 0.0 -0.1 0.0 0.096
H -2.8294 0.0852 -4.2489 0.0 0.0 0.0 0.111
H -3.9167 1.3100 -6.0014 0.0 0.0 -0.1 0.117
H -5.7886 -0.0604 -6.8967 0.0 0.0 0.0 0.120
H -3.2180 -2.5703 -8.9002 0.0 0.0 0.0 0.121
H -1.2137 -1.3310 -8.0684 0.0 0.0 0.0 0.109
C -0.0595 -4.3631 0.1281 0.2 -0.2 0.1 -0.057
N 0.6643 -4.1315 -1.1127 -0.2 -0.1 0.1 -0.107
C 0.6447 -5.1393 -2.1953 -0.1 0.1 0.0 -0.054
C 1.6253 -4.5610 -3.2284 0.1 0.1 0.1 -0.071
N 1.8298 -3.1970 -2.7060 0.0 -0.1 -0.2 0.057